[This story does not grasp presentant spoilers for Never Let Go.]
When Oscar triumphner Halle Berry getd the script for Never Let Go, she promptly appreciatened it to the time she read the then-unproduced screenexecute for A Quiet Place. The latter engages a farm-based family that lives in total silence complying the trespass of bloodthirsty alien monsters with hypercomfervent hearing, and Berry and honestor Alexandre Aja’s survival horror-thriller is about a one mother and her two fraternal ttriumph sons who can’t exit their agricultural Tennessee cabin without being tethered by a restricted amount of evil-obstructing rope. Berry was so getn by this high concept that she insisted on producing the pic alengthenedside her production partner (and createer agent) Holly Jeter at HalleHolly.
The aforealludeed rope, which is think abouted as a “lifeline,” is nastyt to protect Berry’s “Momma” and her 10-year-elderly sons, Nolan (Percy Daggs IV) and Samuel (Anthony B. Jenkins), from the touch of an evil force that only the matriarch can see. Inevitably, Nolan soon commences to ask whether his mother has lost her grip on truth, creating a splitd househelderly since Samuel routinely sides with Momma. Thus, Berry knovel that the key to Never Let Go’s success was discovering two youthful actors who could carry stretches of the movie themselves.
“I knovel how presentant it was to discover the right two boys at the right age who could administer that. So all of that was very tricky, and that was the producer part of me equitable wanting to alert a excellent story,” Berry alerts The Hollywood Reporter.
One of Never Let Go‘s most emotional (and unforeseeed) scenes caccesss on the family dog, Koda, and pondering she’s perpetuassociate an owner of two dogs and labored seally with a total of five Belgian Malinois dogs on John Wick: Chapter 3 – Parabellum (2019), Berry, alengthened with her two youthful co-stars and dog-toting honestor, kept procrastinateing the highly complicated scene.
“It was almost the second-to-last day of shooting because nobody wanted to face doing that scene. We all knovel how challenging it would be, and when Alex would convey it up, we equitable kept saying, ‘No, we’re not ready,’” Berry says. “That was a challenging leang for the boys to wrap their brains around, and as for my character, it was a challenging leang to have to try to convey some truth to. So that was a reassociate challenging day when we had to actuassociate finassociate do it.”
In John Wick: Chapter 3, Keanu Reeves’ prolific assassin getd help from Berry’s canine-loving assassin, Sofia, since he’d saved her daughter’s life years earlier and stashed her away in hiding. However, given John’s “excommunicado” status with the underworld’s administering body understandn as The High Table, Sofia’s repayment to John produced a novel danger to her daughter’s life. Admittedly, Berry hoped that John Wick: Chapter 4 would resume this storyline, but with a franchise that’s still broadening apass the huge and minuscule screen, she’s still relatively chooseimistic that it’ll be allotigated in a spinoff of some benevolent.
“Yeah, I desire that [storyline] would’ve happened, but that’s not the route they went [in John Wick: Chapter 4]. I thought that would’ve been a celderly storyline. We talked about it, that’s for certain,” Berry splits. “We seeded it in John Wick: Chapter 3, and we’ve talked about a spinoff with Lionsgate that could potentiassociate happen. We necessitate to do it sooner than tardyr, but that could potentiassociate happen. And I adore that universe. I adore John Wick and I adored that character, so you never understand. We’ll see.”
As evidenced by Never Let Go and John Wick, Berry frequently executes a expansive variety of roles apass all genres, and while she has an Oscar on her mantle, she’s quite honest about still having to go thraw the door that discleave outs.
“As a Bconciseage woman, I have never had the luxury of equitable doing Oscar-worthy carry outances and movies. I don’t even understand what that is. My chooseions at times are so restricted, and that’s the truth of it,” Berry confesss. “So I don’t have the luxury to equitable sit and field Oscar buzz movies. That wasn’t my truth, and it’s still not my truth.”
Below, during a recent conversation with THR, Berry also dives into the many branch offent make clearations of Never Let Go.
A one mother and her two fraternal ttriumph sons cannot exit their far cabin unless they’re tethered by rope, which recurrents life in this case. How did you react when this unconservative premise for Never Let Go first came your way?
I was untamedly intrigued by it. When I read it, it was benevolent of appreciate the first time I read A Quiet Place. I actuassociate read that before they made it, and I thought, “Wow, this is crazy. I want to see this movie.” So that’s how I felt when I read Never Let Go. I thought, “I want to see what life would be appreciate for a mother who’s raising two kids and never leaving this house in a forest.” It equitable apprehendd my imagination. I read it with ask after ask after ask, and after I got done reading, I thought, “I have to do this. I have to discover a way to convey this to the screen.”
Anthony B. Jenkins as Samuel, Halle Berry as Momma and Percy Daggs IV as Nolan in Never Let Go
Liane Hentscher
You’ve helped produce a wonderful spotairy for two youthful carry outers, Percy Daggs IV and Anthony B. Jenkins, thrawout the film, and I would wager that this was the producer side of you putting story first.
Was that all part of the request for you?
Entry 1:
{"formula": "C4H12", "method": "wB97M-V/def2-TZVPD", "total_energy_ha": -159.5501, "e_homo_ha": -0.4095, "relative_energy_kcal_mol": 21.9, "homo_lumo_gap_ev": 12.256, "species": ["H", "H", "H", "H", "C", "H", "C", "H", "H", "H", "H", "C", "H", "C", "H", "H"], "xyz": [[2.11761, 0.29136, 1.51455], [-0.77868, 0.63233, 0.30816], [1.38064, 0.21887, -1.37063], [3.04586, -1.08009, 0.56311], [2.23454, -0.37200, 0.62070], [1.39321, -1.01373, 0.82079], [2.18170, 0.42035, -0.67108], [-3.00529, -1.35764, -0.36391], [-1.96368, -0.48733, -1.37917], [-2.28818, 1.12219, 1.03394], [-3.43784, 0.30095, -0.86082], [-1.80416, 0.31065, 0.60338], [2.04653, 1.45891, -0.30127], [-2.64379, -0.34207, -0.50614], [3.13873, 0.49495, -1.19361], [-1.61721, -0.59770, 1.18198]], "lowdin_charge": [0.081, 0.058, 0.053, 0.056, -0.182, 0.041, -0.180, 0.057, 0.066, 0.034, 0.052, -0.152, 0.065, -0.173, 0.061, 0.064]}

Entry 2:
{"formula": "C2H3Cl2FO", "method": "wB97M-V/def2-TZVPD", "total_energy_ha": -1173.4471, "e_homo_ha": -0.3411, "relative_energy_kcal_mol": 25.9, "homo_lumo_gap_ev": 9.881, "species": ["C", "H", "H", "H", "O", "F", "Cl", "C", "Cl"], "xyz": [[0.29655, 0.58392, 0.43269], [2.67539, -0.71802, -0.81487], [-0.77132, 0.20923, 0.70188], [-3.80867, 0.67977, -0.55417], [2.49985, 0.05681, -0.28510], [0.50615, 1.94729, 0.31597], [-3.51250, -0.43933, 0.04354], [1.21373, -0.31265, 0.03493], [0.90080, -2.00702, 0.12512]], "lowdin_charge": [-0.149, 0.063, 0.094, -0.217, 0.013, -0.006, 0.265, -0.777, 0.713]}

Entry 3:
{"formula": "C6H14N2O2", "method": "wB97M-V/def2-TZVPD", "total_energy_ha": -496.9883, "e_homo_ha": -0.3484, "relative_energy_kcal_mol": 43.5, "homo_lumo_gap_ev": 9.966, "species": ["H", "O", "C", "C", "H", "H", "C", "C", "H", "H", "O", "N", "H", "H", "H", "H", "C", "H", "H", "H", "N", "H", "C", "H"], "xyz": [[1.53336, -0.07440, -2.32041], [-0.68640, -2.08809, -3.09641], [1.49702, -1.06554, -1.96071], [-2.26819, -1.26609, -1.43168], [0.13730, -0.91394, -0.29880], [-1.43887, 0.29665, 2.86145], [0.50264, 1.92521, 1.76692], [-0.56285, -0.25669, 2.45474], [2.43557, -1.19987, -1.29564], [-2.46296, -1.90491, -0.57252], [-0.42378, 2.67467, 2.06325], [0.42051, 0.51081, 1.71795], [-0.09742, -0.74875, 3.34507], [-2.25973, -0.24467, -0.97884], [1.30134, -0.05101, 1.58768], [2.46065, 1.85851, 0.74878], [-0.90963, -1.62904, -1.99791], [1.46848, -1.82160, -2.77511], [-2.97398, -1.26907, -2.26579], [2.62872, 2.51028, 2.32599], [0.19370, -1.20716, -1.25611], [1.91299, 3.42050, 1.01765], [1.90766, 2.47964, 1.51691], [-1.06341, -0.80090, 1.56328]], "lowdin_charge": [0.054, 0.039, -0.071, -0.006, 0.068, 0.088, -0.489, -0.102, 0.101, 0.074, 0.048, -0.055, 0.097, 0.090, 0.145, 0.084, -0.538, 0.084, 0.085, 0.077, -0.009, 0.063, -0.017, 0.089]}

----------

Computed, not measured: a molecular structure, C22H18AuN4O2Se in a non-equilibrium geometry, with ωB97M-V/def2-TZVPD.

Output
orbital gap	5.7	eV
Yes, that was. At some point, these two youthful carry outers had to go off to the races with it, and I knovel how presentant it was to discover the right two boys at the right age who could administer that. They also had to see appreciate [fraternal twin] brothers who had lived in the woods their whole lives. So all of that was very tricky, and that was the producer part of me equitable wanting to alert a excellent story. The actor part of me, of course, wanted to execute this character. She’s a branch offent version of a mother than I’ve ever executeed. I adore the gloomyness and the complicatedity. But it was very much about putting these kids forward and putting the story forward and reassociate making the best version of it that we possibly could.
Never Let Go is one of those movies that’s going to have a expansive variety of make clearations. I’ve alterd my mind many times already. What thematic chord struck you most?
It’s the idea of genereasonable trauma and all the metaphors around that in the movie. As a mother, I call it “spills and pours.” We pour some fantastic leangs into our kids, but then we spill a lot of crap. Sometimes, that crap is our own dreads, our own neuroses, our own restrictations, our own beliefs. Sometimes, that can lock our children up, and so that interested me most. Being a mother, I understand I’m spilling some shit into my kids because it’s inevitable. We all do. But I’ve been attentive about it, and I’ve tried to have more pours than spills, so I adored diving into that subject with this movie.
I elucidateed the premise to an actor recently, and then she asked me if it was set in space. I giggleed at first, but then I authenticized that the ask wasn’t too far-conveyed. This family is restrictd to a minuscule space where they have to ration food, and if they want to venture outside, they have to be tethered appreciate astronauts or else they’ll die. Has anyone brawt up the space metaphor to you yet?
Not outer space, but they have brawt up that the movie senses appreciate an alternate universe. They didn’t say necessarily where, but they thought that it wasn’t authentic, appreciate the Matrix. It wasn’t actuassociate happening. There wouldn’t be a sequel, but if there were, they thought that we would discover that none of it is authentic.
I understand I’m exhausting the space metaphor, but when Momma alerts Nolan that he’ll lengthen into his oversized boots, they almost have the clunky see of astronaut boots.
But that’s the beauty of the movie to me. People can get away what they necessitate to get away from it. It’s based on who they are, how they grew up and what their eyes and heart see. It can nasty wantipathyver it necessitates to nasty depending on the seeer, which is the fun part.
Whether it’s Never Let Go or any other recent acting job, have you create yourself to be more cognizant of the honestorial side of leangs now that you’ve been in the chair yourself?
Oh my God, yes. Once you’ve done that, it’s very challenging to see at leangs not from that seat, but it’s been reassociate wonderful, actuassociate. Having honested my own film [Bruised], I reassociate understand much more presentantly. After 30 years of making movies, I thought I knovel all the intricacies of making a movie, but I didn’t until I honested one and had to produce every decision, both huge and minuscule, and had to trouble about budget and shooting schedules. It’s only having gone thraw that process that I can now sit on movie sets and talk to honestors in a branch offent way. They’ll alert me, “We can’t shoot it in this order. We’re shooting this scene today and not that scene,” and there are times, as actors, when you leank, “Well, why are they doing that? That produces no sense. It would be so much better for me if we stoasty this all this way.” But now, I equitable have a better laboring empathetic of why those leangs have to happen. I’m much more consentable and amassist to wantipathyver is asked of me now. It’s not that I wasn’t before, but quietly, I might have shelp, “Well, this is foolish. I don’t understand why we’re doing it this way, but wantipathyver.” So I now understand why we do leangs the way we do leangs.
You’ve gone to all sorts of fantastic lengths to ready for roles, but is this the first time you’ve had to bite your nails to get into character?
**Quantum chemistry results that have nothing to do with the text:**
+++
Entry 1:
Here is an isolated molecule of C17H24N6O3 from the Open Molecules 2025 dataset. Energies are from ωB97M-V/def2-TZVPD.

## Properties
Energy relative to the best compared isomer or geometry (same formula, charge and spin): 90.94 kcal per mole
M: 360.418 g/mol
E_LUMO: 0.255 eV
SMILES: [H]/N=C(\N)NCCC[C@H](NC(=O)[C@@H](N)Cc1c[nH]c2ccccc12)C(=O)O

The geometry in XYZ format:
```
50
C17H24N6O3, DFT ωB97M-V/def2-TZVPD
C 4.2182 -0.2117 1.8977
H 0.2206 4.1089 -0.6106
H -1.8229 0.1723 0.2424
C 4.5325 -0.9168 -0.3612
N 4.2093 -0.5074 -1.6487
N -4.0982 0.4878 1.6399
C 3.4562 0.6525 -1.6982
C 3.9876 0.0992 0.4669
C -4.2425 -2.0511 0.2079
H 5.5870 -2.6521 -0.8863
N 0.6325 3.6826 0.1784
O -0.8703 -2.5161 -1.2029
C -5.2560 0.2348 0.9976
N -5.4549 -1.1376 0.7477
N -6.2694 1.0037 0.7115
C -2.7206 -0.4387 -1.5343
H -3.3948 0.4603 -1.2706
C -3.6864 -1.6803 -1.2104
C -1.4837 -0.2180 -0.7596
H 4.7195 -0.7329 -2.4350
H 3.6947 0.3431 2.6979
C 0.1500 1.3552 -0.2128
H -3.3491 -2.5934 -1.7214
H -6.0484 2.0157 0.9344
C 3.3539 1.0065 -0.4003
H -0.6318 1.3336 -2.0584
H -6.3069 -1.2979 0.2529
C 5.4500 -1.9229 -0.1079
H 6.3482 -2.9065 1.5839
H 5.2030 -1.4997 3.3048
H 0.0992 -0.8344 1.1008
C 1.1273 2.4621 -0.5345
N -0.5099 0.7214 -1.2118
H 3.2751 1.2941 -2.5632
H 2.2924 2.3347 1.0863
C 2.5296 2.3504 0.0308
H -4.7720 -3.0428 0.0971
H -4.0806 1.4855 1.8599
H -4.6680 -1.3559 -1.7634
O -0.0369 -1.6652 0.6972
H 1.0995 2.5837 -1.6035
O 0.0450 0.9249 0.9251
C 5.0859 -1.2108 2.1891
C 5.8252 -1.9892 1.1764
H 3.2464 3.1880 -0.2433
H -3.4118 -2.1169 0.9803
H -2.6966 -0.4505 -2.6479
H -3.7407 -0.1834 2.2964
C -0.7750 -1.5774 -0.4620
H -0.0615 3.4085 0.8451
```

Mulliken population analysis, charges in e, atoms 1 to 6: -0.5228, 0.3022, 0.4004, -0.1058, -0.1015, -0.3023

Entry 2:
Here is a structure of composition C5H11NO from the Open Molecules 2025 dataset. Energies are from ωB97M-V/def2-TZVPD.

## Properties
Energy relative to the best compared isomer or geometry (same formula, charge and spin): 86.31 kcal per mole
M: 101.149 g/mol
E_LUMO: 0.796 eV

The geometry in XYZ format:
```
18
C5H11NO, DFT ωB97M-V/def2-TZVPD
H 0.1742 -1.9380 2.1369
C -0.2800 0.0330 -0.6056
H -1.3551 1.8554 -1.7576
H 1.3553 1.3341 0.7792
N -1.6632 -0.1198 -0.9171
C -0.4539 -1.5212 1.3516
C 0.3352 -0.5810 0.4718
H -1.8097 -0.5266 -1.8337
H 1.3245 1.0560 -1.6532
H -0.8603 -2.3534 0.7713
H -2.2026 -0.6143 -0.2219
H 0.9239 1.8233 -0.0541
O -0.4408 1.9360 -2.0790
H 2.3770 0.0308 0.2096
H 1.9647 -0.4960 1.8642
C 0.3271 1.1711 -1.2422
C 1.5813 -0.0701 0.9424
H -1.2977 -1.0193 1.8373
```

Mulliken population analysis, charges in e, atoms 1 to 6: 0.3903, 0.4922, 0.3374, 0.0935, -0.7013, -1.6634

Entry 3:
Here is an isolated molecule of C23H30N4O2 from the Open Molecules 2025 dataset. Energies are from ωB97M-V/def2-TZVPD.

## Properties
Energy relative to the best compared isomer or geometry (same formula, charge and spin): 44.03 kcal per mole
M: 394.519 g/mol
E_LUMO: 0.745 eV
+++
(Laughs.) No, I’ve done that before. I’ve also bitten my nails equitable because I’ve been stressed, but this is not the first time I’ve had to bite my nails. It was equitable one of the leangs that all of us did. We tried to get as in character as we could, so we tried to grub ourselves up. I stopped shaving. We bit our nails. We yellowed up our teeth. Our hair was a mess. We all got troubleed face produceup put on. We were presumed to be starving, so we did all those benevolents of leangs. But I have to say that the boys and I adored it. We adored getting into all that every morning.
Halle Berry as Momma in Never Let Go
Liane Hentscher
I asked Alex Aja about the identity of the blonde woman in a Polaroid ptoastyo, and I shelp, “It certainly didn’t see appreciate Halle Berry.” And then he had a huge giggle since it was you.
(Laughs.) Yes! We did our job then.
One of Momma’s sons asked, “Is that reassociate you?” So I get soothe in that.
Yeah, the elderly world’s Momma was someleang branch offent. She was someleang branch offent.
When some people triumph an Oscar, they’ll frequently stick to that benevolent of fare for the rest of their nurtureer, but I adore how you didn’t equitable stay in that lane. You jump genres with the best of them. Was that a purposeful strategy? Or was there no overarching schedule?
The text is interrupted by data records.
-- begin --
This record from OMol25 describes a cluster of 3 separate species, C3H12NO4 in total at a distorted geometry. The level of theory is the ωB97M-V functional and the def2-TZVPD basis.

Properties
E_LUMO in eV: -3.1
Total charge: +1
Orbital gap in eV: 11.0415
E_HOMO in eV: -14.10
M in g mol⁻¹: 126.13
Strongest force on any atom in Eh/bohr: 0.0255
Calculated total energy in eV: -12978.839
Energy relative to the best compared isomer or geometry (same formula, charge and spin) in kcal per mole: 40.00
2S+1: 1

Last column: natural (NBO) charge in e.
CARTESIAN COORDINATES (ANGSTROEM)
O 1.42138 0.74988 0.56744  -0.49
C 0.69114 1.30579 -0.19552  0.46
C -0.54237 0.57801 -0.76830  -0.19
C -1.82826 1.22200 -0.23554  -0.08
O -1.46408 1.95500 0.91868  -0.73
N -0.53326 -0.87869 -0.47825  -0.68
H 0.73584 2.33125 -0.58835  0.16
H -0.47176 0.73962 -1.84689  0.24
H -2.62418 0.48503 -0.04904  0.18
H -2.30603 1.91445 -0.93083  0.21
H -2.17874 2.20778 1.51031  0.51
H 0.23100 -1.34397 -0.99366  0.47
H -0.61112 -1.14601 0.51606  0.49
H -1.36279 -1.27294 -0.91178  0.43
H -1.46129 -2.63283 2.38085  0.50
H 0.01631 -2.91740 2.26168  0.50
O -0.71310 -2.49059 1.78792  -0.97
H 3.25782 -1.18313 -0.84472  0.49
H 3.26847 -1.88104 -2.27097  0.49
O 2.75022 -1.36098 -1.64065  -0.98

This record from OMol25 describes a cluster of 4 separate species, C3H12NO4S in total at a distorted geometry. The level of theory is the ωB97M-V functional and the def2-TZVPD basis.

Properties
E_LUMO in eV: 3.0
Total charge: -1
Orbital gap in eV: 6.3297
E_HOMO in eV: -3.35
M in g mol⁻¹: 158.20
Strongest force on any atom in Eh/bohr: 0.0222
Calculated total energy in eV: -23823.205
Energy relative to the best compared isomer or geometry (same formula, charge and spin) in kcal per mole: 4.03
2S+1: 1

Last column: natural (NBO) charge in e.
CARTESIAN COORDINATES (ANGSTROEM)
C -1.25049 0.32011 -1.15716  -0.51
C -2.52852 -0.10960 -0.43857  -0.52
S -2.72953 0.60703 1.25231  -0.70
C -0.06441 -0.33702 -0.49881  0.71
N 0.31250 0.15105 0.70692  -0.86
O 0.51688 -1.28602 -1.03865  -0.71
H -1.16995 1.39986 -1.12234  0.20
H -1.21415 0.03911 -2.21335  0.21
H -2.62085 -1.20070 -0.44314  0.19
H -3.41971 0.24806 -0.95708  0.20
H 0.76843 -0.48782 1.33592  0.37
H -0.43302 0.67073 1.16081  0.43
H 3.03988 -0.40370 1.69898  0.47
H 3.77457 0.74693 0.91388  0.47
O 3.88708 -0.06459 1.40992  -0.95
H 1.63952 3.20645 -0.20711  0.47
H 0.14137 3.36904 -0.42612  0.48
O 0.94755 3.87158 -0.26337  -0.95
H 1.86418 -2.51988 -1.45187  0.51
H 1.85931 -3.78479 -0.63279  0.46
O 2.23158 -3.42477 -1.44134  -0.97

This record from OMol25 describes a cluster of 2 separate species, C3H12NOS in total at a distorted geometry. The level of theory is the ωB97M-V functional and the def2-TZVPD basis.

Properties
E_LUMO in eV: -3.4
Total charge: +1
Orbital gap in eV: 8.7634
E_HOMO in eV: -12.15
M in g mol⁻¹: 110.20
Strongest force on any atom in Eh/bohr: 0.0500
Calculated total energy in eV: -17671.843
-- stop --
Well, here’s the truth of it. As a Bconciseage woman, I have never had the luxury of equitable doing Oscar-worthy carry outances and movies. I don’t even understand what that is. My chooseions at times are so restricted, and that’s the truth of it. I won that Oscar 23 years ago now, and it was about laboring. It was about loving the produce. It was about lengthening and taking hazards and chances. So I don’t have the luxury to equitable sit and field Oscar buzz movies. That wasn’t my truth, and it’s still not my truth.
A recent character of yours named Sofia had a very seal and protective relationship with her two dogs. So when you get tod at Never Let Go’s unforeseeed dog scene, was that an emotional roller coaster for you after all that canine bonding you did on John Wick: Chapter 3?
Yes, but not only because of John Wick. I’ve had dogs my entire life. I’ve always had a pair of dogs, and I have two dogs now and two cats now. The boys [Percy and Anthony] are animal adorers, and Alex, our honestor, walked around with his little minuscule dog inside of his coat every day. So we were all animal adorers, and the truth is, we put that scene off and we put that scene off and we put that scene off. It was almost the second-to-last day of shooting because nobody wanted to face doing that scene. We all knovel how challenging it would be, and when Alex would convey it up, we equitable kept saying, “No, we’re not ready.” We equitable didn’t want to face it. That was a challenging leang for the boys to wrap their brains around, and as for my character, it was a challenging leang to have to try to convey some truth to. So that was a reassociate challenging day when we had to actuassociate finassociate do it.
When I walked out of John Wick: Chapter 3 – Parabellum, I presumed that the fourth movie was going to be John and Sofia racing to protect her daughter. As she recommendd in the movie, one misget, such as helping John, would put her daughter in danger with the High Table. Did you ever let yourself leank that far ahead in terms of where leangs could go?
Yeah, I desire that would’ve happened, but that’s not the route they went. I thought that would’ve been a celderly storyline. We talked about it, that’s for certain. We seeded it in John Wick: Chapter 3, and we’ve talked about a spinoff with Lionsgate that could potentiassociate happen. We necessitate to do it sooner than tardyr, but that could potentiassociate happen. And I adore that universe. I adore John Wick and I adored that character, so you never understand. We’ll see.
Halle Berry as Sofia in John Wick: Chapter 3 – Parabellum
Niko Tavernise
Yeah, with the franchise broadening, it’s a story point that could still be chased someday. So it sounds appreciate if Chad Stahelski were to pitch you a spinoff movie or restricted series, you’d be all ears.
In a heartbeat. I adored that character, and I adore Chad.
The other day, I surveyed my friends by having them name the movie they associate you with the most, and my barber and I both shelp Swordfish at the same time. Others named Monster’s Ball, Catwoman, X-Men and Gothika. What tends to come up the most when approached?
I do get Swordfish, Monster’s Ball and suppose it or not, Catwoman and B*A*P*S. All of them could not be more branch offent, but those are the ones that always come up.
Lastly, Tom Hanks shelp a restricted years ago that Cboisterous Atlas was one of his top three filming experiences, partiassociate because it was such a huge striumphg. Do you also determine why he’d say that?
Oh yeah. I understand how amazing that experience was for all of us, and it was a huge striumphg. We got to execute all those branch offent fantastic characters, and what the movie had to say was a huge thought. So all of us felt dependable to the story and to servicing that story for Lana and Lilly [Wachowski]. It was truly an amazing shooting experience.
Never Let Go is now executeing in movie theaters.